Work order:
What is needed: find "0.098" and "(-1.16, -2.90," in the material below, and return these two lines and those between.
File:
********
(1)
ORCA calculation (ωB97M-V with the def2-TZVPD basis set) on a single C15H19N3O3S2 molecule.

Element x y z (Å)
C (1.60, 6.01, 0.39)
C (1.17, 4.73, -0.23)
N (1.57, 4.31, -1.37)
C (1.02, 3.11, -1.70)
C (1.26, 2.40, -2.88)
C (0.63, 1.19, -3.06)
C (-0.23, 0.69, -2.09)
C (-0.50, 1.37, -0.93)
C (0.13, 2.58, -0.73)
S (0.03, 3.67, 0.61)
H (-1.19, 0.95, -0.21)
S (-1.00, -0.90, -2.37)
O (-1.62, -0.84, -3.66)
O (-1.82, -1.26, -1.25)
N (0.24, -2.05, -2.48)
H (1.10, -1.59, -2.76)
C (0.40, -2.81, -1.26)
H (1.19, -3.55, -1.40)
H (-0.56, -3.31, -1.10)
C (0.73, -1.86, -0.11)
O (1.25, -0.78, -0.37)
N (0.44, -2.24, 1.14)
C (-0.27, -3.44, 1.52)
H (-0.16, -4.21, 0.75)
C (-1.74, -3.11, 1.78)
C (-1.82, -2.07, 2.90)
C (-1.01, -0.84, 2.52)
C (0.44, -1.24, 2.19)
H (1.01, -0.38, 1.84)
H (0.93, -1.66, 3.08)
H (-1.01, -0.10, 3.32)
H (-1.45, -0.39, 1.63)
H (-2.86, -1.79, 3.08)
H (-1.43, -2.50, 3.83)
H (-2.28, -4.01, 2.05)
H (-2.17, -2.69, 0.87)
H (0.19, -3.81, 2.44)
H (0.78, 0.61, -3.96)
H (1.93, 2.81, -3.62)
H (2.31, 6.51, -0.26)
H (0.73, 6.65, 0.55)
H (2.06, 5.82, 1.36)

Calculated values
Frontier orbital gap = 9.4 eV
Electronic energy = -48147.34028 eV
LUMO energy = 0.5 eV
ΔE to the lowest compared entry with this formula, charge and spin = 1.8 kcal/mol
2S+1 = 1
SMILES = Cc1nc2ccc(S(=O)(=O)NCC(=O)N3CCCCC3)cc2s1

Atomic partial charges in e from the Löwdin method, atoms 1 to 5:
1. C -0.080
2. C -0.615
3. N 0.098
4. C -0.298
5. C 0.011

=====

(2)
ORCA calculation (ωB97M-V with the def2-TZVPD basis set) on C11H11Cl2N5NiO2S2Te as an isolated structure.

Element x y z (Å)
Ni (0.64, -0.81, 0.30)
Cl (2.89, -0.96, 0.82)
C (3.55, 0.66, 0.72)
C (4.92, 0.81, 0.82)
C (5.46, 2.08, 0.74)
C (4.62, 3.17, 0.56)
C (3.25, 2.99, 0.46)
Cl (2.25, 4.39, 0.24)
C (2.66, 1.72, 0.53)
S (0.94, 1.48, 0.37)
H (5.55, -0.06, 0.97)
H (6.53, 2.22, 0.81)
H (5.03, 4.17, 0.48)
N (-0.93, -0.11, -1.13)
N (-2.09, 0.28, -0.45)
C (-2.17, 0.08, 0.88)
N (-3.20, 0.61, 1.53)
N (-1.18, -0.65, 1.37)
N (-1.09, -0.91, 2.73)
O (-0.04, -1.39, 3.09)
O (-2.03, -0.69, 3.50)
H (-0.46, 0.69, -1.52)
H (-1.16, -0.80, -1.84)
H (-2.74, 0.90, -0.90)
H (-3.83, 1.26, 1.09)
H (-3.26, 0.40, 2.52)
Te (0.55, -3.23, -0.39)
C (0.32, -3.20, -2.47)
C (1.21, -3.64, -3.40)
C (0.72, -3.57, -4.75)
C (-0.54, -3.07, -4.82)
S (-1.13, -2.72, -3.25)
H (2.20, -4.00, -3.13)
H (1.29, -3.88, -5.62)
H (-1.16, -2.90, -5.69)

Calculated values
Frontier orbital gap (spin up / spin down) = 6.8 / 6.8 eV
Electronic energy = -118178.82971 eV
LUMO energy (spin up / spin down) = -0.6 / -0.6 eV
ΔE to the lowest compared entry with this formula, charge and spin = 20.2 kcal/mol
2S+1 = 1

Atomic partial charges in e from the Löwdin method, atoms 1 to 5:
1. Ni -0.275
2. Cl 0.765
3. C -0.600
4. C -0.110
5. C -0.087

=====

(3)
ORCA calculation (ωB97M-V with the def2-TZVPD basis set) on C11H25NOS4Y as an isolated structure.

Element x y z (Å)
Y (0.89, 0.04, -0.30)
C (-1.57, 2.62, 0.34)
C (-2.32, 1.99, -0.85)
S (-1.83, 0.24, -1.11)
C (-1.76, 0.29, -2.92)
C (-0.46, 0.83, -3.47)
S (0.90, -0.31, -3.13)
C (3.33, 2.39, -2.02)
C (2.67, 3.52, -1.99)
S (0.18, 2.71, -0.03)
H (-1.75, 2.07, 1.26)
H (-1.99, 3.63, 0.49)
H (-2.12, 2.52, -1.78)
H (-3.41, 2.00, -0.69)
H (-2.64, 0.87, -3.25)
H (-1.91, -0.74, -3.27)
H (-0.27, 1.82, -3.08)
H (-0.60, 0.93, -4.54)
H (3.19, 1.68, -2.83)
H (3.98, 2.13, -1.22)
H (1.98, 3.81, -2.77)
H (2.81, 4.25, -1.18)
S (2.27, -1.19, 1.55)
C (1.08, -3.20, -1.63)
O (0.43, -2.50, -0.60)
H (0.91, -4.26, -1.52)
H (2.16, -3.02, -1.62)
H (0.66, -2.82, -2.59)
H (0.83, -2.60, 0.28)
C (-0.67, -2.72, 2.61)
C (-0.18, -1.28, 2.86)
C (-1.42, -0.37, 3.03)
C (0.70, -1.27, 4.13)
N (0.49, -0.75, 1.68)
H (-1.23, -3.10, 3.45)
H (0.22, -3.35, 2.49)
H (-1.29, -2.75, 1.70)
H (-2.05, -0.69, 3.86)
H (-2.00, -0.29, 2.12)
H (-1.03, 0.64, 3.27)
H (0.11, -1.38, 5.04)
H (1.26, -0.34, 4.17)
H (1.46, -2.05, 4.05)

Calculated values
Frontier orbital gap = 5.9 eV
Electronic energy = -59737.75136 eV
LUMO energy = 2.7 eV
2S+1 = 1
Net charge = -1
********
Response:
3. N 0.098
4. C -0.298
5. C 0.011

=====

(2)
ORCA calculation (ωB97M-V with the def2-TZVPD basis set) on C11H11Cl2N5NiO2S2Te as an isolated structure.

Element x y z (Å)
Ni (0.64, -0.81, 0.30)
Cl (2.89, -0.96, 0.82)
C (3.55, 0.66, 0.72)
C (4.92, 0.81, 0.82)
C (5.46, 2.08, 0.74)
C (4.62, 3.17, 0.56)
C (3.25, 2.99, 0.46)
Cl (2.25, 4.39, 0.24)
C (2.66, 1.72, 0.53)
S (0.94, 1.48, 0.37)
H (5.55, -0.06, 0.97)
H (6.53, 2.22, 0.81)
H (5.03, 4.17, 0.48)
N (-0.93, -0.11, -1.13)
N (-2.09, 0.28, -0.45)
C (-2.17, 0.08, 0.88)
N (-3.20, 0.61, 1.53)
N (-1.18, -0.65, 1.37)
N (-1.09, -0.91, 2.73)
O (-0.04, -1.39, 3.09)
O (-2.03, -0.69, 3.50)
H (-0.46, 0.69, -1.52)
H (-1.16, -0.80, -1.84)
H (-2.74, 0.90, -0.90)
H (-3.83, 1.26, 1.09)
H (-3.26, 0.40, 2.52)
Te (0.55, -3.23, -0.39)
C (0.32, -3.20, -2.47)
C (1.21, -3.64, -3.40)
C (0.72, -3.57, -4.75)
C (-0.54, -3.07, -4.82)
S (-1.13, -2.72, -3.25)
H (2.20, -4.00, -3.13)
H (1.29, -3.88, -5.62)
H (-1.16, -2.90, -5.69)